== Request ==
Start at the top of the calculation results underneath and restate each line, ending with the one that has "0.104 [2", please.

== Listing ==
This entry pairs a crystal structure of Sr3Fe2MoO9 with its theoretical PXRD pattern. Radiation: Cu Ka. Structure: DFT lattice parameters and positions (PBE+U).

Top 10 peaks for 2θ = 15–90°, low angle first:
2θ 31.7, rel. 100.0; 2θ 39.1, rel. 6.2; 2θ 45.4, rel. 36.7; 2θ 56.3, rel. 8.4; 2θ 56.5, rel. 28.7; 2θ 66.0, rel. 9.8; 2θ 66.3, rel. 10.8; 2θ 75.1, rel. 7.3; 2θ 75.3, rel. 8.3; 2θ 84.0, rel. 5.3

Structure:
```
data_Sr3Fe2MoO9
_chemical_formula_sum 'Sr3 Fe2 Mo1 O9'
_cell_length_a 5.6423
_cell_length_b 5.6423
_cell_length_c 6.9396
_cell_angle_alpha 90.00
_cell_angle_beta 90.00
_cell_angle_gamma 120.00
_symmetry_space_group_name_H-M 'P -3 m 1'
_symmetry_Int_Tables_number 164
_symmetry_space_group_name_Hall '-P 3 2"'
loop_
_atom_site_label
_atom_site_type_symbol
_atom_site_fract_x
_atom_site_fract_y
_atom_site_fract_z
Sr1 Sr 0.0000 0.0000 0.0000
Sr2 Sr 0.3333 0.6667 0.6883
Fe1 Fe 0.3333 0.6667 0.1570
Mo1 Mo 0.0000 0.0000 0.5000
O1 O 0.0000 0.5000 0.0000
O2 O 0.1627 0.3254 0.3392
```

~~~~~

Diffraction record for Mo2P4C14SNCl4. The powder X-ray diffraction pattern is calculated, not measured: it uses a GGA-PBE-relaxed structure and CuKα.

Atomic structure:
Unit cell a=8.777 b=9.674 c=18.375 alpha=99.13 beta=102.26 gamma=102.06
Space group P-1 (No. 2)
Symmetry-distinct sites (fractional):
Mo  0.147  0.130  0.250 [2 per cell]
Mo  0.260  0.373  0.192 [2 per cell]
P  0.182  0.282  0.398 [2 per cell]
P  0.224  0.949  0.328 [2 per cell]
P  0.335  0.169  0.104 [2 per cell]
P  0.499  0.430  0.779 [2 per cell]
C  0.029  0.320  0.440 [2 per cell]
C  0.034  0.459  0.477 [2 per cell]
C  0.116  0.733  0.093 [2 per cell]
C  0.129  0.858  0.134 [2 per cell]
C  0.158  0.453  0.441 [2 per cell]
C  0.224  0.381  0.774 [2 per cell]
C  0.297  0.007  0.428 [2 per cell]
C  0.303  0.361  0.715 [2 per cell]
C  0.337  0.159  0.996 [2 per cell]
C  0.349  0.342  0.821 [2 per cell]
C  0.427  0.974  0.387 [2 per cell]
C  0.449  0.824  0.888 [2 per cell]

== Outcome ==
This entry pairs a crystal structure of Sr3Fe2MoO9 with its theoretical PXRD pattern. Radiation: Cu Ka. Structure: DFT lattice parameters and positions (PBE+U).

Top 10 peaks for 2θ = 15–90°, low angle first:
2θ 31.7, rel. 100.0; 2θ 39.1, rel. 6.2; 2θ 45.4, rel. 36.7; 2θ 56.3, rel. 8.4; 2θ 56.5, rel. 28.7; 2θ 66.0, rel. 9.8; 2θ 66.3, rel. 10.8; 2θ 75.1, rel. 7.3; 2θ 75.3, rel. 8.3; 2θ 84.0, rel. 5.3

Structure:
```
data_Sr3Fe2MoO9
_chemical_formula_sum 'Sr3 Fe2 Mo1 O9'
_cell_length_a 5.6423
_cell_length_b 5.6423
_cell_length_c 6.9396
_cell_angle_alpha 90.00
_cell_angle_beta 90.00
_cell_angle_gamma 120.00
_symmetry_space_group_name_H-M 'P -3 m 1'
_symmetry_Int_Tables_number 164
_symmetry_space_group_name_Hall '-P 3 2"'
loop_
_atom_site_label
_atom_site_type_symbol
_atom_site_fract_x
_atom_site_fract_y
_atom_site_fract_z
Sr1 Sr 0.0000 0.0000 0.0000
Sr2 Sr 0.3333 0.6667 0.6883
Fe1 Fe 0.3333 0.6667 0.1570
Mo1 Mo 0.0000 0.0000 0.5000
O1 O 0.0000 0.5000 0.0000
O2 O 0.1627 0.3254 0.3392
```

~~~~~

Diffraction record for Mo2P4C14SNCl4. The powder X-ray diffraction pattern is calculated, not measured: it uses a GGA-PBE-relaxed structure and CuKα.

Atomic structure:
Unit cell a=8.777 b=9.674 c=18.375 alpha=99.13 beta=102.26 gamma=102.06
Space group P-1 (No. 2)
Symmetry-distinct sites (fractional):
Mo  0.147  0.130  0.250 [2 per cell]
Mo  0.260  0.373  0.192 [2 per cell]
P  0.182  0.282  0.398 [2 per cell]
P  0.224  0.949  0.328 [2 per cell]
P  0.335  0.169  0.104 [2 per cell]